**Request:**
What is needed: return the part of the entries further below that starts with the line with "0.590 0.334" and stops after the one with "0.920".
**Data:**
# 1
The following is a quantum chemistry calculation of the molecule C5H7BN2 in a non-equilibrium geometry, from the Open Molecules 2025 dataset.

Values from the calculation:
HOMO level: -11.1874 eV
Orbital gap: 9.320 eV
Energy: -329.04316 a.u.
Structure (SMILES): CC(C)B(C#N)C#N

CARTESIAN COORDINATES (ANGSTROEM)
C 1.016 -1.278 -0.008
C 0.354 0.094 0.485
C 1.092 1.165 -0.313
B -1.268 -0.034 0.228
C -2.025 1.269 0.162
N -2.494 2.284 -0.031
C -1.896 -1.371 0.118
N -2.498 -2.344 -0.116
H 1.920 -1.371 0.602
H 1.283 -1.044 -1.095
H 0.235 -2.067 0.055
H 0.413 0.290 1.483
H 0.769 1.018 -1.315
H 0.878 2.245 -0.006
H 2.220 1.145 -0.248

# 2
The following is a quantum chemistry calculation of the molecule C5H6N2 in a non-equilibrium geometry, from the Open Molecules 2025 dataset.

Values from the calculation:
HOMO level: -8.9031 eV
Orbital gap: 9.865 eV
Energy: -303.56875 a.u.
Structure (SMILES): C=Cn1cccn1

CARTESIAN COORDINATES (ANGSTROEM)
C 2.398 0.169 -0.040
C 1.399 -0.730 -0.060
N 0.053 -0.328 -0.107
C -0.552 0.873 -0.081
C -1.873 0.715 -0.025
C -2.082 -0.672 -0.046
N -0.910 -1.293 -0.023
H 3.455 -0.128 0.369
H 2.131 1.251 -0.217
H 1.606 -1.779 -0.069
H 0.086 1.744 0.122
H -2.663 1.360 0.073
H -3.047 -1.181 0.102

# 3
The following is a quantum chemistry calculation of a cluster of 2 separate species, C4H11FO in total in a non-equilibrium geometry, from the Open Molecules 2025 dataset.

Values from the calculation:
HOMO level: -11.1406 eV
Orbital gap: 11.794 eV
Energy: -334.08809 a.u.
Structure (SMILES): CCCCF.O

CARTESIAN COORDINATES (ANGSTROEM)
C 0.000 0.000 0.000
C 0.590 0.334 1.398
C 0.817 1.750 1.800
C -0.366 2.682 1.760
F -1.326 2.340 2.641
H -1.053 0.297 -0.141
H 0.057 -1.102 0.006
H 0.590 0.378 -0.852
H 1.545 -0.223 1.352
H -0.043 -0.146 2.169
H 1.326 1.772 2.783
H 1.507 2.188 1.053
H -0.788 2.616 0.739
H -0.125 3.745 1.956
O 4.846 -1.060 -1.969
H 4.368 -0.202 -2.024
H 5.332 -1.129 -2.821

# 4
The following is a quantum chemistry calculation of a structure of composition C39H40AsCl2N2OPdSSe, from the Open Molecules 2025 dataset.

Values from the calculation:
HOMO level (spin up / spin down): -16.3063 / -16.3070 eV
Net charge: +3
Orbital gap (spin up / spin down): 5.108 / 5.108 eV
Energy: -7777.60044 a.u.

CARTESIAN COORDINATES (ANGSTROEM)
Pd -0.236 -1.363 -1.439
Cl -1.997 -2.895 -1.955
C -3.190 -1.845 -2.719
C -4.344 -2.423 -3.210
C -5.291 -1.595 -3.793
C -5.087 -0.222 -3.862
C -3.928 0.323 -3.343
Cl -3.627 2.021 -3.394
C -2.946 -0.486 -2.767
S -1.507 0.345 -2.174
H -4.499 -3.492 -3.144
H -6.197 -2.022 -4.198
H -5.823 0.426 -4.319
C -3.780 -1.300 3.047
C -3.792 0.211 3.253
C -4.542 0.972 2.163
C -3.851 0.957 0.802
N -2.597 1.730 0.832
C -1.335 1.259 0.850
Se -0.844 -0.530 0.803
N -0.470 2.289 0.952
C 0.995 2.220 1.093
C 1.427 2.344 2.549
C 0.943 1.202 3.434
C 1.546 1.263 4.832
C -1.193 3.455 1.002
C -0.784 4.791 1.104
C -1.783 5.729 1.112
C -3.152 5.371 1.017
C -3.560 4.066 0.921
C -2.546 3.100 0.920
H -3.332 -1.805 3.902
H -3.224 -1.603 2.156
H -4.797 -1.681 2.942
H -2.771 0.603 3.346
H -4.270 0.433 4.208
H -4.697 2.009 2.469
H -5.536 0.541 2.027
H -4.474 1.405 0.027
H -3.599 -0.056 0.491
H 1.399 3.024 0.478
H 1.317 1.274 0.661
H 1.095 3.304 2.954
H 2.520 2.374 2.554
H 1.204 0.246 2.961
H -0.151 1.231 3.516
H 2.634 1.200 4.790
H 1.182 0.449 5.457
H 1.290 2.200 5.328
H 0.258 5.069 1.174
H -1.528 6.777 1.190
H -3.893 6.159 1.022
H -4.605 3.803 0.848
O 1.313 -0.145 -1.427
As 2.618 -1.283 -1.227
C 3.056 -1.382 0.620
C 2.388 -2.178 1.549
C 2.753 -2.113 2.884
C 3.768 -1.253 3.289
C 4.421 -0.450 2.364
C 4.071 -0.513 1.023
C 1.683 -2.797 -2.018
C 1.341 -3.982 -1.346
C 0.773 -5.030 -2.059
C 0.561 -4.907 -3.426
C 0.898 -3.732 -4.099
C 1.455 -2.674 -3.405
C 4.074 -0.697 -2.276
C 3.926 0.402 -3.116
C 5.010 0.792 -3.887
C 6.205 0.086 -3.816
C 6.336 -1.013 -2.974
C 5.267 -1.414 -2.190
H 1.590 -2.848 1.260
H 2.254 -2.743 3.608
H 4.057 -1.218 4.331
H 5.218 0.209 2.680
H 4.605 0.092 0.300
H 1.563 -4.115 -0.297
H 0.526 -5.952 -1.550
**Outcome:**
C 0.590 0.334 1.398
C 0.817 1.750 1.800
C -0.366 2.682 1.760
F -1.326 2.340 2.641
H -1.053 0.297 -0.141
H 0.057 -1.102 0.006
H 0.590 0.378 -0.852
H 1.545 -0.223 1.352
H -0.043 -0.146 2.169
H 1.326 1.772 2.783
H 1.507 2.188 1.053
H -0.788 2.616 0.739
H -0.125 3.745 1.956
O 4.846 -1.060 -1.969
H 4.368 -0.202 -2.024
H 5.332 -1.129 -2.821

# 4
The following is a quantum chemistry calculation of a structure of composition C39H40AsCl2N2OPdSSe, from the Open Molecules 2025 dataset.

Values from the calculation:
HOMO level (spin up / spin down): -16.3063 / -16.3070 eV
Net charge: +3
Orbital gap (spin up / spin down): 5.108 / 5.108 eV
Energy: -7777.60044 a.u.

CARTESIAN COORDINATES (ANGSTROEM)
Pd -0.236 -1.363 -1.439
Cl -1.997 -2.895 -1.955
C -3.190 -1.845 -2.719
C -4.344 -2.423 -3.210
C -5.291 -1.595 -3.793
C -5.087 -0.222 -3.862
C -3.928 0.323 -3.343
Cl -3.627 2.021 -3.394
C -2.946 -0.486 -2.767
S -1.507 0.345 -2.174
H -4.499 -3.492 -3.144
H -6.197 -2.022 -4.198
H -5.823 0.426 -4.319
C -3.780 -1.300 3.047
C -3.792 0.211 3.253
C -4.542 0.972 2.163
C -3.851 0.957 0.802
N -2.597 1.730 0.832
C -1.335 1.259 0.850
Se -0.844 -0.530 0.803
N -0.470 2.289 0.952
C 0.995 2.220 1.093
C 1.427 2.344 2.549
C 0.943 1.202 3.434
C 1.546 1.263 4.832
C -1.193 3.455 1.002
C -0.784 4.791 1.104
C -1.783 5.729 1.112
C -3.152 5.371 1.017
C -3.560 4.066 0.921
C -2.546 3.100 0.920